Yes, Prime Source Imidacloprid 2F T/I is a great product for grub control. Per the product label, to achieve the best control, you should apply just prior to egg hatch. We recommend contacting your local cooperative extension office for the best application timing for your region.
No, the Prime Source Imidacloprid 2F should not stress your tree out if you use the product as directed. It is recommended that you do a foliar application before the onset of high pest populations and reapply as needed.
We appreciate your inquiry. Prime Source Imidacloprid 2F Select T/I has a sehlf life of 3-5 years when stored in a cool, dry area out of direct sunlight and away from extreme temperatures.
Yes, Prime Source Imidacloprid 2F T/I can be applied as a soil drench to treat bronze birch borers. Please refer to the product label for complete mixing and application instructions.
Yes, the Prime Source Imidacloprid 2F T/I is labeled for the emerald ash borer, and is very effective in treating/preventing it. Please refer to the product label for complete mixing and application instructions.
How long it takes for Prime Source Imidacloprid 2F to translocate through a tree from the roots to the leaves will depend on the size of the tree, growth stage, and the rate at which the product was applied. This could be only a few days for very small plants to several weeks for larger trees. For some plants, this may take 60 days or longer, so the product is best applied before anticipated pest infestations, per the product label.
Prime Source Imidacloprid 2F T/I will last for one year after application as a soil drench and fruit cannot be consumed. Please refer to the product label for specific application instructions (and fruit that product it may be applied to).
Prime Source Imidacloprid 2F T/I needs to be watered in after application in order for it to get down to the roots and be absorbed. It will not be able to do this until it is so absorption will just have to wait until it rains. It is safe to return to the treated area once the application is dry. Mowing should be delayed at least 24 hours
These data records were left in the text by mistake =
-- begin --
# CePm2TlN
Simulated powder XRD pattern, a wavelength of 1.5418 Å. Input: a cell relaxed with GGA-PBE.
Lines closer than 0.1° are merged.

Structure:
```
CePm2TlN
1.0
5.032 0.000 0.000
0.000 5.032 0.000
0.000 0.000 4.854
Ce Pm Tl N
1 2 1 1
direct
0.000 0.000 0.000
0.000 0.500 0.500
0.500 0.000 0.500
0.500 0.500 0.000
0.000 0.000 0.500
```

Top 10 peaks for 10° ≤ 2θ ≤ 90°, by intensity:
h k l	2theta	I_rel
1 1 1	31.2	100
2 0 0	35.7	38
3 1 1	61.3	30
2 0 2	52.4	25
0 0 2	37.0	17
1 1 3	63.1	14
2 2 0	51.4	13
2 2 2	65.0	13
3 1 3	85.6	12
3 3 1	84.0	6


Entry 1:
TbSnSe: theoretical powder X-ray diffraction pattern (Cu Kα (weighted mean of Kα1 and Kα2)), based on a cell relaxed with GGA-PBE.

Cell and atoms:
```
6
Lattice="-2.0457 2.0457 9.2432 2.0457 -2.0457 9.2432 2.0457 2.0457 -9.2432" Properties=species:S:1:pos:R:3 pbc="T T T"
Tb 0.0000 0.0000 2.8090
Tb 0.0000 0.0000 15.6774
Sn 2.0457 0.0000 0.0000
Sn 0.0000 2.0457 0.0000
Se 0.0000 0.0000 5.7663
Se 0.0000 0.0000 12.7201
```

The 6 most intense peaks (10 to 80 degrees two-theta), by angle:
28.98°, I 61; 32.43°, I 100; 36.65°, I 80; 40.66°, I 32; 44.28°, I 51; 53.79°, I 44


Entry 2:
KZrZn2F8: theoretical powder X-ray diffraction pattern (Cu Kα (weighted mean of Kα1 and Kα2)), based on a cell relaxed with GGA-PBE.

Cell and atoms:
```
12
Lattice="2.6598 1.5356 8.1907 -2.6598 1.5356 8.1907 0.0000 -3.0713 8.1907" Properties=species:S:1:pos:R:3 pbc="T T T"
K 0.0000 0.0000 0.0000
Zr 0.0000 0.0000 12.2861
Zn 0.0000 0.0000 6.2997
Zn 0.0000 0.0000 18.2725
F -0.8780 -1.4295 11.0360
F -1.6769 0.0456 13.5361
F 0.0000 0.0000 8.1718
F -0.7990 1.4751 11.0360
F 0.7990 -1.4751 13.5361
F 0.0000 0.0000 16.4004
F 1.6769 -0.0456 11.0360
F 0.8780 1.4295 13.5361
```

The 6 most intense peaks (10 to 80 degrees two-theta), by angle:
24.15°, I 100; 33.70°, I 41; 35.11°, I 31; 41.89°, I 20; 54.80°, I 19; 56.74°, I 29


Entry 3:
SnI: theoretical powder X-ray diffraction pattern (Cu Kα (weighted mean of Kα1 and Kα2)), based on a cell relaxed with GGA-PBE.

Cell and atoms:
```
4
Lattice="4.2302 -2.4434 0.0000 4.2302 2.4434 0.0000 -0.2746 0.0000 9.5316" Properties=species:S:1:pos:R:3 pbc="T T T"
Sn 1.4165 0.0000 0.3777
Sn 6.7694 0.0000 9.1539
I 1.4233 -0.0236 3.1197
I 6.7626 -0.0236 6.4119
```

The 6 most intense peaks (10 to 80 degrees two-theta), by angle:
21.00°, I 100; 22.87°, I 89; 23.12°, I 31; 23.26°, I 32; 28.08°, I 50; 36.80°, I 93


Record 1
Theoretical powder diffractogram
Compound: KSrVO4
Radiation: Cu Kα, 1.54184 Å
Structure: the PBE+U geometry in the Materials Project
Peak positions follow from Bragg's law for the DFT cell and can differ from measured ones.

Principal peaks in the range 10 to 90 degrees two-theta, in order of rising 2θ:
- d 5.138, I 23
- d 3.435, I 23
- d 3.042, I 100
- d 3.025, I 28
- d 2.982, I 68
- d 2.936, I 82
- d 2.225, I 31
- d 2.124, I 41
- d 1.888, I 18
- d 1.733, I 17

Cell: 7.548 5.963 10.119 Å, 90.00 90.00 90.00°
Atoms (fractional coordinates):
K: 0.158 0.250 0.076
K: 0.342 0.750 0.576
-- stop --
Prime Source Imidacloprid 2F T/I is a great product to be used a drench for Crepe Myrtles and Tea Roses. Typically, you will apply twice a year, Spring and Fall.
Yes Prime Source Imidacloprid 2F T/I? is a great product for grub control. Per the product label, to achieve the best control, you should apply just prior to egg hatch. We recommend contacting your local cooperative extension office for the best application timing for your region.
Prime Source Imidacloprid 2F T/I should be applied and dried prior to allowing dogs and cats in the treated areas.
Prime Source Imidacloprid 2F T/I is applied at 1.5 fl oz per 100 gallons of water for pecan tree applications. Make foliar applications as pests begin to build before populations become extreme. Two applications at a 10 to 14 day interval may be required to achieve control. Scout and retreat if needed. Thorough uniform coverage of foliage is necessary for optimal control. Addition of an organosilicone-based spray adjuvant at a rate not to exceed the adjuvant manufacturer’s specified use rate may improve coverage. RESTRICTIONS: Do not apply more than a total of 18.0 fluid ounces of this product per acre per year. Do not make more than 3 applications per year. Allow 6 or more days between applications. Allow 7 days between last application and harvest.
Prime Source Imidacloprid 2F T/I is labeled to be applied as an injection into trees. Please review the product label your specific treatment.
~~~
[1]
Starting from a cell relaxed with GGA-PBE, the powder X-ray diffraction pattern of NpAsSe3 was calculated for Cu Kα.

Crystal structure
```
data_NpAsSe3
_chemical_formula_sum 'Np4 As4 Se12'
_cell_length_a 4.0577
_cell_length_b 23.6405
_cell_length_c 5.6775
_cell_angle_alpha 90.00
_cell_angle_beta 90.00
_cell_angle_gamma 90.00
_space_group_name_H-M_alt 'A m a 2'
_space_group_IT_number 40
loop_
_space_group_symop_operation_xyz
'x,y,z'
'-x,-y,z'
'-x+1/2,y,z'
'x+1/2,-y,z'
'x,y+1/2,z+1/2'
'-x,-y+1/2,z+1/2'
'-x+1/2,y+1/2,z+1/2'
'x+1/2,-y+1/2,z+1/2'
loop_
_atom_site_label
_atom_site_type_symbol
_atom_site_fract_x
_atom_site_fract_y
_atom_site_fract_z
Np1 Np 0.2500 0.1871 0.0000
As1 As 0.2500 0.3734 0.8642
Se1 Se 0.2500 0.0705 0.2432
Se2 Se 0.2500 0.2250 0.5030
Se3 Se 0.2500 0.3863 0.2929
```

Main lines, by angle (2θ = 5–70°):
7.48 deg, d = 11.820 Å, rel. 100, (0 2 0)
19.27 deg, d = 4.606 Å, rel. 19, (0 3 1)
24.50 deg, d = 3.633 Å, rel. 13, (0 5 1)
26.65 deg, d = 3.345 Å, rel. 18, (1 4 0)
27.28 deg, d = 3.270 Å, rel. 19, (1 1 1)
31.65 deg, d = 2.827 Å, rel. 42, (1 6 0)
32.44 deg, d = 2.760 Å, rel. 21, (0 2 2)
33.10 deg, d = 2.707 Å, rel. 16, (1 5 1)
38.11 deg, d = 2.361 Å, rel. 20, (1 7 1)
39.48 deg, d = 2.282 Å, rel. 16, (1 2 2)
41.73 deg, d = 2.164 Å, rel. 27, (1 4 2)
44.66 deg, d = 2.029 Å, rel. 14, (2 0 0)

[2]
Starting from a cell relaxed with GGA-PBE, the powder X-ray diffraction pattern of Np6AsSe12 was calculated for Cu Kα.

Crystal structure
```
data_Np6AsSe12
_chemical_formula_sum 'Np18 As3 Se36'
_cell_length_a 12.5038
_cell_length_b 12.5038
_cell_length_c 11.4547
_cell_angle_alpha 90.00
_cell_angle_beta 90.00
_cell_angle_gamma 120.00
_space_group_name_H-M_alt 'R -3'
_space_group_IT_number 148
_space_group_name_Hall '-R 3'
loop_
_atom_site_label
_atom_site_type_symbol
_atom_site_fract_x
_atom_site_fract_y
_atom_site_fract_z
Np1 Np 0.0505 0.7795 0.1463
As1 As 0.0000 0.0000 0.5000
Se1 Se 0.0348 0.8183 0.8940
Se2 Se 0.0556 0.8473 0.3892
```

Main lines, by angle (2θ = 5–70°):
14.17 deg, d = 6.252 Å, rel. 24, (1 1 0)
23.08 deg, d = 3.854 Å, rel. 100, (3 -1 1)
23.30 deg, d = 3.818 Å, rel. 31, (0 0 3)
27.37 deg, d = 3.259 Å, rel. 13, (1 1 3)
30.78 deg, d = 2.905 Å, rel. 16, (4 -3 1)
33.70 deg, d = 2.660 Å, rel. 18, (4 -1 2)
38.08 deg, d = 2.363 Å, rel. 57, (4 1 0)
38.36 deg, d = 2.346 Å, rel. 55, (3 -1 4)
39.54 deg, d = 2.279 Å, rel. 14, (2 3 2)
45.00 deg, d = 2.015 Å, rel. 17, (2 4 1)
45.12 deg, d = 2.009 Å, rel. 23, (4 1 3)
45.37 deg, d = 1.999 Å, rel. 14, (1 2 5)

[3]
Starting from a cell relaxed with GGA-PBE, the powder X-ray diffraction pattern of Sm3NpAs4 was calculated for Cu Kα.

Crystal structure
```
data_Sm3NpAs4
_chemical_formula_sum 'Sm6 Np2 As8'
_cell_length_a 8.3893
_cell_length_b 11.8265
_cell_length_c 4.1793
_cell_angle_alpha 90.00
_cell_angle_beta 90.00
_cell_angle_gamma 90.00
_space_group_name_H-M_alt 'C m m m'
_space_group_IT_number 65
_space_group_name_Hall '-C 2 2'
loop_
_atom_site_label
_atom_site_type_symbol
~~~
Prime Source Imidacloprid 2F T/I will last for one year after application as a soil drench.
Prime Source Imidacloprid 2F T/I is applied at 1.5 fl oz per 100 gallons of water for pecan tree applications.
Prime Source Imidacloprid 2F T/I and Dominion 2L Termiticide Concentrate are basically the same product made by two different manufactures. Both products contain the same active ingredient and both have pretty much the same instruction label.
Prime Source Imidacloprid 2F T/I does not require the use of a surfactant or adjuvant except for when treating pecan trees per the product label.